Bringing Down the Walls with Unfeigned Faith

Bringing-Down-the-Wallsby: Emily Carstens and Mitchell Haley

Wednesday came too fast for most people. It was a day to learn new things, but also a day to end the 2014 National Old Paths Conference. Split sessions were from nine until eleven. The ladies session once again was privileged to hear from Mrs. Buchanan. She taught miniature lessons during the question and answer session that took place during the first hour of the ladies split sessions. She backed up what the preachers during the week have been saying that advice is good to get, but the best advice is from the Bible. The teen ladies ensemble sang, “Jesus is coming soon.”

**Misplaced molecular data**
********
(1)
19
Properties=species:S:1:pos:R:3:forces:R:3 method="wB97M-V/def2-TZVPD" homo_lumo_gap_ev=12.55 multiplicity=1 charge=0 total_energy_ev=-5411.896 smiles=CCC.CC e_above_lowest_kj_mol=14.79
C 1.432 0.441 0.359 0.11 0.00 -0.65
C 0.278 1.042 1.147 0.26 -0.26 0.27
C 0.735 1.333 2.567 -0.51 0.65 0.59
H 1.116 -0.301 -0.372 -0.13 0.00 -0.07
H 1.939 1.227 -0.204 0.25 -0.09 0.08
H 2.155 -0.056 1.004 0.05 0.05 0.08
H -0.579 0.367 1.136 0.00 0.05 0.15
H -0.039 1.976 0.677 -0.13 -0.09 0.02
H -0.093 1.670 3.199 -0.01 0.04 -0.10
H 1.466 2.148 2.580 0.09 -0.13 -0.04
H 1.171 0.486 3.096 0.07 -0.20 -0.29
C -1.476 -0.768 -1.429 -0.19 0.31 0.08
C -0.883 -1.793 -2.377 -0.18 -0.17 -0.34
H -1.367 -1.106 -0.402 -0.09 -0.06 0.16
H -1.047 0.240 -1.462 0.20 -0.27 -0.26
H -2.539 -0.640 -1.631 -0.09 -0.06 0.07
H 0.176 -1.983 -2.198 0.01 0.09 -0.05
H -1.411 -2.739 -2.257 0.08 -0.11 0.16
H -1.034 -1.545 -3.432 0.21 0.24 0.12

(2)
35
Properties=species:S:1:pos:R:3:forces:R:3 method="wB97M-V/def2-TZVPD" homo_lumo_gap_ev=8.71 multiplicity=1 charge=0 total_energy_ev=-20405.059 smiles=Cc1c[nH]c2ccccc12.Cc1ccc(O)cc1 e_above_lowest_kj_mol=74.01
C -4.189 0.935 -0.246 0.46 -1.22 0.67
C -2.973 0.931 0.648 -0.87 0.53 -0.26
C -2.365 2.031 1.142 0.25 -0.26 0.20
N -1.371 1.669 2.071 0.07 0.02 -0.07
C -1.406 0.279 2.165 -0.22 -0.25 -0.12
C -0.672 -0.550 3.010 -0.11 1.01 -0.39
C -0.880 -1.898 2.902 -0.15 -1.26 -0.02
C -1.845 -2.417 2.025 -0.28 0.74 -0.83
C -2.616 -1.589 1.235 0.38 0.47 -0.29
C -2.385 -0.206 1.297 0.02 -0.51 0.05
H -4.867 1.708 0.107 -0.06 0.23 -0.69
H -4.703 -0.023 -0.118 -0.15 0.09 0.16
H -3.914 0.912 -1.301 -0.18 0.72 -0.03
H -2.668 3.064 1.050 0.30 0.03 -0.29
H -0.443 2.048 1.921 -0.10 0.37 0.41
H -0.028 -0.013 3.688 0.49 -0.55 0.31
H -0.327 -2.663 3.433 0.24 0.43 0.38
H -1.976 -3.457 1.807 0.23 -0.60 0.55
H -3.270 -2.008 0.478 -0.20 0.03 0.21
C 2.744 -2.028 -3.020 -0.30 0.21 -0.20
C 2.722 -0.780 -2.179 -0.17 -0.18 0.14
C 3.872 -0.081 -1.851 -0.11 0.88 -0.42
C 3.798 1.129 -1.158 -0.22 -0.37 -0.30
C 2.590 1.551 -0.641 -0.87 0.29 -0.03
O 2.419 2.658 0.160 -0.04 0.02 -0.11
C 1.417 0.874 -0.966 0.20 -0.39 0.02
C 1.497 -0.268 -1.742 0.65 0.03 0.16
H 1.735 -2.275 -3.351 -0.09 -0.25 0.40
H 3.200 -2.869 -2.498 -0.07 -0.07 -0.07
H 3.250 -1.871 -3.964 0.59 0.08 -0.12
H 4.835 -0.339 -2.273 0.00 -0.28 0.01
H 4.636 1.795 -1.187 0.57 0.12 0.55
H 3.112 3.306 0.021 0.28 -0.02 -0.01
H 0.454 1.245 -0.636 0.07 0.06 0.08
H 0.618 -0.801 -2.029 -0.59 -0.14 -0.05

(3)
24
Properties=species:S:1:pos:R:3:forces:R:3 method="wB97M-V/def2-TZVPD" homo_lumo_gap_ev=9.54 multiplicity=1 charge=0 total_energy_ev=-11607.288 smiles=Cc1ccc(O)cc1.CC e_above_lowest_kj_mol=33.67
C -0.049 0.625 3.447 0.03 0.03 0.07
C 0.445 0.902 2.053 0.02 0.55 -0.02
C 1.604 0.309 1.556 -0.05 -0.27 0.49
C 2.025 0.475 0.255 -0.30 0.78 -0.79
C 1.291 1.316 -0.576 -0.20 0.22 -0.11
O 1.677 1.495 -1.900 0.25 -0.02 0.38
C 0.182 1.987 -0.089 -0.26 0.02 0.28
C -0.239 1.791 1.224 0.34 -0.31 -0.44
H 0.749 0.400 4.162 0.00 0.01 -0.25
********

In the men’s session at nine, Bro. Buchanan taught on having a “Wartime Lifestyle.” There are three battles that a Christian will face. The first type of battle is for family. The second is battling for the church. Thirdly, Christians will battle for their heart. He gave five points to having the wartime lifestyle. First, one must be willing to sacrifice willingly. Second, when separation must happen, separate nobly. Thirdly, submit willingly. Next, one must surrender unconditionally. Last, one must unquestionably obey God.

Gray IIStill in the men’s session, a college men’s quartet sang the song, “When God Dips His Love in my Heart.” Dr. Gray proceeded to teach pastors how to take advantage of the different outreaches each church could have. He did this by describing the different Saturday ministries the Longview Baptist Temple participates in each week.

At ten, in the ladies session, both Mrs. Domelle and Mrs. Gray taught a lesson. Mrs. Domelle spoke on her favorite Bible character, Hannah, the mother of Samuel. Mrs. Domelle gave pointers about having a better prayer life. First of all, pray specifically. Next, pray persistently. Next, one must pray believing that God will answer the prayer. Next, a person’s prayer life should never cease. Last of all, one should pray fervently. After Mrs. Domelle spoke, Mrs. Gray spoke about the subject, “Have you Prepared yourself for the Storms.” She emphasized that storms will come, but God is in control every step of the way.

At eleven everyone came back together into the auditorium for the final morning session of the conference. The Texas IBS chorale sang two songs, “Embrace the Cross” and “There Is.” After they sang, Bro. Domelle came up to teach a lesson on Developing the Personal Touch with people.” He gave eight points starting with walking slowly through a crowd and ending with always pointing people back to Jesus.

Mens QuartetThe evening service was full of excitement for the final night of preaching. The LBT choir opened the service with “Amazing Grace.” After the first congregational, Dr. Gray called all the men down for one final time of prayer to beg God to speak to them. Pastor Greg Clark and Pastor David Owens both were asked to pray for the meeting. It was very evident after the time of prayer that God was about to do something special.

┌──
Density functional theory data (ωB97M-V/def2-TZVPD) for C14H10BrF9OV as an isolated structure.

Summary:
- relative energy (zero: lowest compared OMol25 entry of this formula, charge and spin) (kJ/mol) = 0.0
- LUMO level (alpha / beta) (eV) = 2.62 / 2.62
- spin multiplicity = 3
- max |F| (eV/Å) = 2.30
- total charge = -1

Last column: natural (NBO) charge in e.
Geometry (Å):
C  -1.156  -0.759  -1.833  -0.3111
C  -1.217  -1.769  -0.827  -0.3154
C  -1.942  -1.219  0.306  -0.2931
H  -0.787  -2.774  -0.889  0.2642
C  -2.314  0.126  -0.014  -0.3045
C  -1.842  0.416  -1.334  -0.2969
H  -1.994  1.361  -1.877  0.2308
H  -0.709  -0.877  -2.831  0.2323
H  -2.157  -1.743  1.243  0.2712
H  -2.930  0.786  0.611  0.2478
V  0.000  -0.123  0.038  0.9535
Br  0.965  -2.174  1.317  -0.5677
C  1.959  1.147  0.390  -0.2933
C  1.124  1.927  -0.489  -0.3379
C  0.974  1.196  -1.710  -0.2906
H  0.705  2.922  -0.265  0.2350
C  1.698  -0.052  -1.581  -0.3426
C  2.329  -0.060  -0.298  -0.2843
H  2.987  -0.846  0.087  0.2658
H  2.284  1.438  1.395  0.2585
H  0.420  1.533  -2.600  0.2227
H  1.775  -0.848  -2.339  0.2314
F  -0.343  2.404  3.160  -0.3260
C  -0.862  1.297  3.786  0.9702
F  -0.954  1.572  5.111  -0.3328
F  -2.133  1.138  3.286  -0.3336
C  -0.013  0.032  3.436  0.0629
O  -0.085  0.200  2.134  -0.7790
C  1.412  0.213  4.057  0.9570
F  1.361  0.291  5.436  -0.3388
F  2.270  -0.797  3.739  -0.3088
F  2.000  1.359  3.597  -0.3296
C  -0.714  -1.209  4.134  0.9603
F  -0.971  -0.947  5.475  -0.3432
F  -1.908  -1.472  3.538  -0.3249
F  -0.002  -2.370  4.107  -0.3096

---

Density functional theory data (ωB97M-V/def2-TZVPD) for a 2-piece molecular cluster, CCl3F2N overall.

Summary:
- relative energy (zero: lowest compared OMol25 entry of this formula, charge and spin) (kJ/mol) = 168.0
- LUMO level (eV) = -0.09
- max |F| (eV/Å) = 7.80
- total charge = 0
- SMILES = F/N=C(/F)Cl.ClCl

Last column: natural (NBO) charge in e.
Geometry (Å):
F  -0.124  -1.531  1.223  -0.1817
N  0.083  -1.137  -0.065  -0.0780
C  -0.706  -0.462  -0.769  0.5594
F  -0.191  0.282  -1.640  -0.2571
Cl  -2.191  0.336  -0.140  -0.0510
Cl  0.837  1.679  0.975  -0.0048
Cl  2.292  0.834  0.416  0.0132

---

Density functional theory data (ωB97M-V/def2-TZVPD) for an isolated ion of composition C5H13NO and charge +1.

Summary:
- relative energy (zero: lowest compared OMol25 entry of this formula, charge and spin) (kJ/mol) = 382.4
- LUMO level (alpha / beta) (eV) = -3.39 / -8.33
- spin multiplicity = 2
- max |F| (eV/Å) = 5.74
- total charge = +1

Last column: natural (NBO) charge in e.
Geometry (Å):
C  -0.279  -0.340  -0.598  -0.4443
C  -0.073  1.174  -0.734  0.0887
C  1.332  1.565  -1.192  -0.6209
O  -0.774  1.592  -2.020  -0.6930
C  0.629  -0.989  0.440  -0.2920
N  -0.242  -1.800  1.309  -0.1068
C  -0.776  -1.192  2.603  -0.5147
H  -1.310  -0.592  -0.649  0.2460
H  0.281  -0.880  -1.465  0.2545
H  -0.233  1.634  0.196  0.1811
H  1.395  2.626  -1.394  0.2565
H  1.894  0.944  -1.983  0.2317
└──
**Here the article continues:**

Bro. Domelle preached first on “Bringing the Walls Down.” He gave six points to use to bring down the walls in each city as well as in each life of each person present. First of all, crossing over is a must. Second, one must be there. Third, walk around your city and go soul winning. Next, show your support for the preacher by shouting every one in a while. Do not give up. Lastly, God’s presence has to be with you if God is going to do something. He challenged the church and delegates to leave the conference and with God’s help bring down the walls of their city. After Bro. Domelle’s sermon an invitation was held and the altars were filled with Christians making a commitment to help bring down the walls of their city.

The Texas IBS chorale sang again. They sang “Psalm 139,” The Resurrection Morn,” and a special request of “There Is “ again. Dr. Gray came to the pulpit to use what voice he had left to preach the Word. His and Bro. Domelle’s sermon tied in together.

DomelleDr. Gray preached on having “Unfeigned faith.” He explained that we can only have unfeigned faith if our faith is evident and not hidden. First of all, unfeigned faith has to start somewhere. Secondly, unfeigned faith must be grounded in the Scriptures. He emphasized having children read their Bible starting when they are young. Lastly, unfeigned faith will help someone overcome shortcomings. He stressed the importance of Christians being transparent in their Christian life and not to put on a show. Another altar call was held and people flooded the altar even before the altar call was given.

Unrelated to this entry: records of molecules
........
Model P:
Below is a structure of composition C40H31BrIrN3O2P2S3, with properties calculated with wB97M-V/def2-TZVPD.

The geometry in ORCA input format:
```
! wB97M-V def2-TZVPD RIJCOSX def2/J DEFGRID3
* xyz 0 1
Ir 0.01078 -0.41564 0.17598
S -0.04098 0.20397 2.37605
P -0.63886 1.97320 1.52578
C -0.34870 1.69471 -0.13407
P 1.20168 1.94014 -0.80523
S 2.18040 0.24224 -0.19031
C 2.15920 3.42705 -0.40122
C 3.35419 3.34643 0.30266
C 4.06137 4.50333 0.60371
C 3.56482 5.73964 0.22151
C 2.36316 5.82477 -0.47282
C 1.66713 4.67204 -0.79209
C 1.11043 2.01479 -2.61135
C 2.28408 1.96800 -3.36276
C 2.22323 2.00451 -4.74444
C 0.98881 2.09222 -5.38430
C -0.17866 2.14817 -4.63921
C -0.11777 2.11001 -3.25033
C -2.42128 2.21603 1.77147
C -3.23750 2.56008 0.69759
C -4.60348 2.74533 0.88987
C -5.15240 2.57846 2.15109
C -4.33814 2.23633 3.22730
C -2.97928 2.05660 3.04068
C 0.08310 3.41111 2.35710
C -0.53203 4.65933 2.26388
C 0.06837 5.77232 2.82853
C 1.28044 5.64272 3.49518
C 1.89241 4.40193 3.59426
C 1.29808 3.28647 3.02273
H 3.72602 2.38010 0.62171
H 4.99626 4.43578 1.14609
H 4.11331 6.64175 0.46309
H 1.97503 6.79077 -0.77098
H 0.73749 4.73857 -1.34806
H 3.24568 1.89168 -2.86614
H 3.13500 1.96317 -5.32696
H 0.94228 2.11834 -6.46588
H -1.13958 2.21266 -5.13542
H -1.02135 2.14169 -2.65115
H -2.79182 2.68015 -0.28462
H -5.23510 2.99868 0.04842
H -6.21918 2.69900 2.29723
H -4.77047 2.09990 4.21065
H -2.34954 1.77698 3.87848
H -1.48262 4.76231 1.75242
H -0.41120 6.74033 2.75404
H 1.74695 6.51232 3.94149
H 2.83738 4.30108 4.11335
H 1.77534 2.31536 3.08722
C 0.73320 -1.43830 -2.76812
O -0.23067 -0.86234 -1.86698
C -1.48249 -0.64299 -2.35961
C -1.71914 -0.57847 -3.71868
C -3.00201 -0.30817 -4.17195
Br -3.28281 -0.15546 -6.03608
C -4.05981 -0.14798 -3.30491
C -3.83302 -0.25511 -1.93220
C -2.54051 -0.47305 -1.46186
O -2.27612 -0.54695 -0.11119
C -4.99916 -0.13915 -1.03642
N -6.08409 0.51487 -1.34898
C -6.93356 0.34399 -0.26853
C -8.21524 0.85170 -0.05182
C -8.83706 0.53913 1.14007
C -8.20719 -0.26332 2.10705
C -6.93778 -0.77007 1.91195
C -6.31811 -0.44711 0.70888
N -5.06949 -0.73604 0.19898
H 1.02428 -0.69983 -3.51746
H 0.30443 -2.32948 -3.22737
H 1.58493 -1.70144 -2.15332
H -0.91268 -0.70079 -4.42999
H -5.06303 0.04454 -3.65521
H -2.67309 0.21914 0.34143
H -8.69479 1.46870 -0.80082
H -9.83330 0.91418 1.33775
H -8.73210 -0.48863 3.02696
H -6.45078 -1.38205 2.66080
H -4.39592 -1.38262 0.57221
S -0.48181 -2.83498 0.41783
C 1.04430 -3.53907 0.61928
N 2.08852 -4.01958 0.75710
*
```

Calculated values
- LUMO energy (eV) = -0.1445
- highest occupied orbital energy (eV) = -7.71
- orbital gap (eV) = 7.56

Electronic structure analysis, Löwdin charges in units of e:
1. Ir 0.546
2. S 0.328
3. P 0.491
4. C -0.632
5. P 0.510
6. S 0.377
7. C -0.338
8. C -0.104
9. C -0.078
10. C -0.079
11. C -0.076
12. C -0.078
13. C -0.344
14. C -0.085
15. C -0.074
16. C -0.072
17. C -0.081
18. C -0.092
19. C -0.369
20. C -0.104
21. C -0.072
22. C -0.070
23. C -0.064
24. C -0.080
25. C -0.329
26. C -0.077
........

Everyone is already looking forward to the National 2015 Old Paths Conference. A special VIP registration was held after the service for people who wanted to register for next year’s conference. It was evident by those registering for next year and the spirit of the people after the conference that God moved in the hearts and many were looking forward to next year. Hope to see you there on March 23-25, 2015.